REST Services With Apache Camel

Microservices are becoming a very popular architectural style for developing greenfield applications and also for brownfield solutions. People are moving away from the monolith solutions due to added advantages like faster development and go-to-market, increased adoption of containerization and small teams, and a lighter codebase. 

You can use either Spring Boot, Quarkus, or Lagom frameworks to develop the REST services. I would like to show how we can use Apache Camel, a leading opensource integration framework, to write REST services easier and quicker using the REST domain-specific language (DSL).

Rest API Documentation and Client Generation With OpenAPI

Microservices architecture helps in building an application as a suite of multiple fine-grained smaller services. Each of these services run in its own process and are independently deployable. They may have been developed in different programming languages and may use different data storage techniques and communicate with each other via lightweight mechanisms like RESTful APIs, message queues etc. Now that services(API clients) need to know how to interact with each other, there is a need of API documentation that should be clear, informative, and easy to go through.

OpenAPI makes documenting these RESTful services very easy and can be done by adding few annotations to a Spring-based project. Besides rendering documentation, it allows the API consumers to interact with the APIs without having their own implementation logic in place. Also, it can be used to generate the API client libraries for over 50+ languages. In this post, I’ll cover how to use OpenAPI to generate REST API documentation and Java clients for a Spring Boot project.

Are Automated APIs the future? Podcast With Zdenek “Z” Nemec

In 2020, APIs are an essential part of any digital transformation toolkit. Whether you’re looking to deliver new products, expand your marketing reach, analyze your data, innovate on existing technologies, or improve work efficiency — modern enterprises rely on APIs to get things done.

However, as API adoption explodes, the complexity of discovery, consumption, and integration also gets dialed to eleven. When APIs have to be integrated and maintained manually, this places an additional burden on an already overwhelmed IT department. Co-Founder and CTO Zdenek Nemec explain how automation can change the way we develop and approach APIs and how description formats such as OpenAPI and AsyncAPI help make APIs be more discoverable.

API Security Weekly: Issue #115

Happy New Year 2021!

This week, we revisit the API aspects of the SolarWinds breach and check out how APIs featured in the recent Ledger breach. There is also an API vulnerability found in Microsoft’s Office 365 Outlook and a new API development and security plugin for JetBrains IDEs.

Benefits of Using the OpenAPI (Swagger) Specification for Your APIs

== Crystal structures, as found in the file ==
+++
For Ag2Br2O7, a structure optimized by DFT (PBE) gives the simulated PXRD pattern in this record (Cu Ka).

Crystal structure
abc: 6.152 6.152 5.049
angles: 99.74 99.74 97.25
Positions (direct):
Ag: 0.201 0.799 0.000
Ag: 0.799 0.201 0.000
Br: 0.277 0.277 0.597
Br: 0.723 0.723 0.403
O: 0.105 0.401 0.782
O: 0.116 0.116 0.308
O: 0.401 0.105 0.782
O: 0.500 0.500 0.500
O: 0.599 0.895 0.218
O: 0.884 0.884 0.692
O: 0.895 0.599 0.218

The 8 most intense peaks (2θ = 10–80°), low angle first:
2θ (°)	I/Imax
25.19	683
25.70	388
26.58	1000
29.85	526
31.21	205
43.02	209
49.46	169
51.39	180

=====

For PmAgBrO2, a structure optimized by DFT (PBE) gives the simulated PXRD pattern in this record (Cu Ka).

Crystal structure
abc: 6.834 6.834 5.697
angles: 90.00 90.00 129.88
Positions (direct):
Pm: 0.103 0.897 0.750
Pm: 0.897 0.103 0.250
Ag: 0.464 0.536 0.750
Ag: 0.536 0.464 0.250
Br: 0.254 0.746 0.250
Br: 0.746 0.254 0.750
O: 0.224 0.224 0.000
O: 0.224 0.224 0.500
O: 0.776 0.776 0.000
O: 0.776 0.776 0.500

The 8 most intense peaks (2θ = 10–80°), low angle first:
2θ (°)	I/Imax
14.31	136
21.19	110
26.52	112
30.89	1000
31.40	210
44.63	228
54.95	183
55.59	144

=====

For TlAgBrO, a structure optimized by DFT (PBE) gives the simulated PXRD pattern in this record (Cu Ka).

Crystal structure
abc: 15.196 15.196 15.196
angles: 14.10 14.10 14.10
Positions (direct):
Tl: 0.000 0.000 0.000
Tl: 0.500 0.500 0.500
Ag: 0.237 0.237 0.237
Ag: 0.763 0.763 0.763
Br: 0.388 0.388 0.388
Br: 0.612 0.612 0.612
O: 0.189 0.189 0.189
O: 0.811 0.811 0.811

The 8 most intense peaks (2θ = 10–80°), low angle first:
2θ (°)	I/Imax
23.66	290
28.75	604
29.37	208
31.93	1000
34.14	279
42.55	284
48.84	445
54.96	197

=====

For TlAgOsBr6, a structure optimized by DFT (PBE) gives the simulated PXRD pattern in this record (Cu Ka).

Crystal structure
abc: 7.172 7.172 13.606
angles: 90.00 90.00 120.00
Positions (direct):
Tl: 0.000 0.000 0.000
Tl: 0.000 0.000 0.500
Ag: 0.333 0.667 0.250
Ag: 0.667 0.333 0.750
Os: 0.333 0.667 0.750
Os: 0.667 0.333 0.250
Br: 0.039 0.391 0.644
Br: 0.039 0.649 0.856
Br: 0.351 0.391 0.856
Br: 0.351 0.961 0.644
Br: 0.391 0.039 0.144
Br: 0.391 0.351 0.356
Br: 0.609 0.649 0.644
Br: 0.609 0.961 0.856
Br: 0.649 0.039 0.356
Br: 0.649 0.609 0.144
Br: 0.961 0.351 0.144
Br: 0.961 0.609 0.356

The 8 most intense peaks (2θ = 10–80°), low angle first:
2θ (°)	I/Imax
15.68	167
19.35	1000
28.13	447
31.67	229
36.41	794
40.66	320
43.72	335
58.16	176

=====

For AgPBr6, a structure optimized by DFT (PBE) gives the simulated PXRD pattern in this record (Cu Ka).

Crystal structure
abc: 6.771 6.771 7.056
angles: 90.04 118.67 119.92
Positions (direct):
Ag: 0.000 0.000 0.000
P: 0.000 0.500 0.500
Br: 0.131 0.412 0.265
Br: 0.148 0.282 0.735
Br: 0.453 0.865 0.735
Br: 0.547 0.135 0.265
Br: 0.852 0.718 0.265
Br: 0.869 0.588 0.735

The 8 most intense peaks (2θ = 10–80°), low angle first:
2θ (°)	I/Imax
18.17	381
30.46	1000
40.66	333
45.81	89
46.42	167
54.10	150
56.55	144
63.36	93

=====
+++
== The entry goes on ==

With software products becoming just a bunch of micro-services and third-party APIs mashed together, it's more crucial than ever to get their structure in order.

GraphQL already did this at its inception by coming up with a whole specification that describes how APIs of its type should behave. In the RESTful API landscape, things were a bit more wild west. However, even if not all backend devs know it, there are a number of specifications for REST APIs as well.

Can your API Gateway Tango to Open API Spec?

Open API Spec — an API-First Approach

Enterprises today use an API first approach towards application development and sharing data. This API based approach is used under several scenarios like — breaking up a monolith into microservices, adopting cloud, and adopting Kubernetes.

APIs are also a popular choice to adopt Service Oriented Architectural approach. API also forms a key tenant to support data sharing and logic reuse. An API in an application can be compared to a function in the imperative programming paradigm.

Java/Cloud: How to Quickly Create a Kubernetes-Ready REST Microservice

It is safe to say that the Microservice + Cloud combination is all the rage these days. Microservices are being developed more than ever, in turn increasing the number of application deployments. During the past decade, containerization and orchestration tools such as Docker and Kubernetes were developed, making the microservice pattern easy to adopt.

This article will teach you how to generate a completely functional microservice with an exposed REST API capable of interacting with a MySQL database and deploy it to your local Kubernetes cluster. The learnings here can be applied to almost any database type like Oracle, SQL Server, DB2, and so on.

Doing More With Springdoc-OpenAPI

In my last recent article we tried out a Spring Boot Open API 3-enabled REST project and explored some of its capabilities namely:

  • Automatic JSR-303 related swagger documentation.
  • How maven builds properties could be shown as project information in the swagger documentation.

In this continuation we will explore two additional Objectives namely:

Keeping OpenAPI DRY

I really enjoy API development. As someone who enjoys writing, I also enjoy providing solid documentation for consumers of my APIs to utilize. When my APIs are used by teams across the United States and other countries it becomes important to provide reliable and detailed information. The same is true for public APIs when the consumer is simply not known.

However, I really am not a fan of repetition in my code...and that includes API documentation.

Designing a REST API — What Is a Code-First Approach?

Designing a REST API — Code-First Approach

Designing a great REST API is important to have great microservices. The Code-First approach focuses on generating the contract from code. Is it the best possible approach?

You might also like:  Code-First Approach With ASP.NET MVC Framework

You Will Learn

  • What is the Code-First approach to designing a REST API?
  • What are advantages of the Code-First approach?
  • What are disadvantages of the Code-First approach?
  • When do you adopt the Code-First approach?


This is the fourth article in a series of articles on REST APIs:

Gemini Starter: Model-Driven CRUD REST APIs With Spring


This article explains what is included in the Gemini Starter Repository and how to start with a full Gemini project to set up a CRUD REST API, starting from Data Model and without generating code.

You may also like: Developing REST APIs

Gemini is a model-driven REST framework that automatically generates CRUD APIs. You can take a look at the official repository here. We are going to define entities and code to obtain the following CRUD APIs.

Easy REST APIs With AutoRest

It's easy to REST with AutoRest.

“We live in an API-driven world,” said Julia Kreger, OpenStack Ironic project team lead and principal software engineer at Red Hat.

API is an acronym for “Application Programming Interface.” It has a long history since the first computer programs were written. At first, APIs form “contracts” for accessing resources from the operating system, software libraries, or other systems.

Doing More With Swagger and Spring

In my last article, I gave a quick introduction to Swagger in the Spring realm. Also, we saw how the additional Maven artifact "spring-swagger-simplified" automatically leverages the validation constraint annotations used by Spring and enriches the Swagger models and Swagger UI.

Below, for a quick recap, we look at the automatic model enhancements amongst other things we had discussed in the previous article.

Building Web Applications With Spring, Cucumber, and Swagger


Because a lot of software developers spend a lot of time building production ready Java-based web applications (with APIs) that include an automated test suite.

My intention is to build a reference application using a proven/robust application stack which can then be used to build applications from the scratch, fast. Maybe 10X faster.

Contract Testing in HL Tech With Judge Dredd, Part 2

Welcome back! If you missed Part 1, you can check it out here

Consumer Expectations

Consumer expectations are expressed in Pact format. Pact format specifies sample interactions between a consumer and its provider. All interactions between them must be described separately with sample values, which can be later validated against a Swagger file. In Picture 6, a sample Pact file is presented which was generated based on Judge Dredd Agent.